(Listing)
+++
<one>
The following is a quantum chemistry calculation of a molecular structure, C4H6N2O2, from OMol25.

Geometry (Å):
C (-0.50852, -0.84808, -0.84358)
C (-0.63053, 0.66236, -0.61596)
C (0.45661, 0.71499, 1.53506)
C (0.57992, 0.00482, -1.31441)
H (0.53725, -1.67528, 0.74537)
H (-1.09920, -1.40571, -1.47277)
H (-1.14175, 1.37241, -1.24922)
H (-1.37236, -0.28430, 1.16849)
H (0.11031, 1.24912, 2.59097)
H (0.72610, 0.54547, -2.16715)
N (-0.77346, 0.75584, 0.72524)
N (1.64939, 0.49760, 1.02308)
O (-0.28296, -1.78305, 0.28017)
O (1.74921, 0.19382, -0.40531)

Properties
HOMO-LUMO gap   9.874 eV

Charges in e, computed with Löwdin, in the same order as the atoms: number 1, C, carries -0.1874; number 2, C, carries -0.2625; number 3, C, carries -0.1813; number 4, C, carries -0.1010; number 5, H, carries 0.0673; number 6, H, carries 0.1173; number 7, H, carries 0.1412; number 8, H, carries 0.2449; number 9, H, carries 0.1755; number 10, H, carries 0.1216; number 11, N, carries -0.0487; number 12, N, carries 0.0609; number 13, O, carries -0.0200; number 14, O, carries -0.1277

<two>
The following is a quantum chemistry calculation of C4H6N2O2 in the gas phase, from OMol25.

Geometry (Å):
C (0.06822, 2.17661, -1.00655)
C (-0.30047, 0.75363, -0.20847)
C (0.91624, -0.01395, 0.23996)
C (-0.43181, -2.14262, 0.84372)
H (0.31469, 2.85681, -0.21648)
H (-0.75283, 2.39632, -1.59352)
H (0.73947, 2.08722, -1.92482)
H (1.49517, -1.41839, 1.43909)
H (-0.03676, -3.16984, 1.34301)
H (-1.55182, -1.27103, -0.23861)
N (0.59761, -0.98284, 1.33244)
N (-1.49515, -2.31709, 0.25061)
O (-1.55436, 0.54419, -0.27422)
O (1.99180, 0.50097, 0.01384)

Properties
SMILES   [H]/N=C\NC(=O)C(C)=O
HOMO-LUMO gap   8.955 eV

Charges in e, computed with Löwdin, in the same order as the atoms: number 1, C, carries 0.0103; number 2, C, carries -0.2067; number 3, C, carries -0.3855; number 4, C, carries -0.2789; number 5, H, carries 0.0682; number 6, H, carries 0.0274; number 7, H, carries 0.1033; number 8, H, carries 0.0837; number 9, H, carries 0.1319; number 10, H, carries 0.0964; number 11, N, carries 0.1102; number 12, N, carries 0.0903; number 13, O, carries 0.0319; number 14, O, carries 0.1175

<three>
The following is a quantum chemistry calculation of a molecular structure, C4H6N2O2, from OMol25.

Geometry (Å):
C (1.98265, -0.32768, 0.00636)
C (-0.74122, 0.04340, -0.17077)
C (-1.92436, -0.49092, -0.41507)
C (-0.79253, 1.55059, 0.14226)
H (0.74989, -1.68799, 1.59440)
H (2.60731, -1.39029, 0.42960)
H (1.61722, 1.53155, -1.05611)
H (-2.01063, -1.72554, -0.51121)
H (-3.05141, -0.07430, -0.29110)
H (-1.55771, 2.00706, -0.44326)
N (0.42948, -0.62295, -0.00198)
N (2.53341, 0.73628, -0.46084)
O (0.14870, -1.88015, 0.49781)
O (0.00920, 2.33096, 0.67991)

Properties
HOMO-LUMO gap   8.743 eV

Charges in e, computed with Löwdin, in the same order as the atoms: number 1, C, carries -0.2118; number 2, C, carries -0.3643; number 3, C, carries 0.0460; number 4, C, carries -0.1935; number 5, H, carries 0.2639; number 6, H, carries 0.1905; number 7, H, carries 0.2132; number 8, H, carries 0.1272; number 9, H, carries 0.1232; number 10, H, carries 0.0968; number 11, N, carries -0.1982; number 12, N, carries 0.0295; number 13, O, carries -0.1348; number 14, O, carries 0.0123

Result of the stability comparison: <three> is the least stable of them.

----------

w:
ORCA calculation (ωB97M-V with the def2-TZVPD basis set) on a cluster of 3 separate species, C4H14NO3 in total.

Last column: Löwdin charge in e.
Atoms and positions in Å:
H  -0.7253  0.8230  -0.6322  0.12
H  -0.7571  -1.7913  1.4099  0.10
C  -0.5968  -0.2481  -0.7246  -0.10
N  0.5015  -0.7541  0.1106  0.06
H  0.9484  -1.5464  -0.3160  0.17
H  -2.5901  -0.6841  -1.5579  0.14
H  2.4831  1.5183  -1.4194  0.06
O  0.9532  3.1836  -0.4121  -0.05
H  1.0657  0.3618  2.8385  0.09
H  0.9641  -1.8756  1.8173  0.13
H  1.0200  3.0608  -1.3463  0.01
C  -1.9489  -1.0581  -0.7380  -0.19
H  -0.3935  -0.4758  -1.7760  0.13
+++

(What to do)
Now start at the top of the lines earlier on and set down each line, ending with the one that has "(0.91624, -0.01395,".

(Done)
<one>
The following is a quantum chemistry calculation of a molecular structure, C4H6N2O2, from OMol25.

Geometry (Å):
C (-0.50852, -0.84808, -0.84358)
C (-0.63053, 0.66236, -0.61596)
C (0.45661, 0.71499, 1.53506)
C (0.57992, 0.00482, -1.31441)
H (0.53725, -1.67528, 0.74537)
H (-1.09920, -1.40571, -1.47277)
H (-1.14175, 1.37241, -1.24922)
H (-1.37236, -0.28430, 1.16849)
H (0.11031, 1.24912, 2.59097)
H (0.72610, 0.54547, -2.16715)
N (-0.77346, 0.75584, 0.72524)
N (1.64939, 0.49760, 1.02308)
O (-0.28296, -1.78305, 0.28017)
O (1.74921, 0.19382, -0.40531)

Properties
HOMO-LUMO gap   9.874 eV

Charges in e, computed with Löwdin, in the same order as the atoms: number 1, C, carries -0.1874; number 2, C, carries -0.2625; number 3, C, carries -0.1813; number 4, C, carries -0.1010; number 5, H, carries 0.0673; number 6, H, carries 0.1173; number 7, H, carries 0.1412; number 8, H, carries 0.2449; number 9, H, carries 0.1755; number 10, H, carries 0.1216; number 11, N, carries -0.0487; number 12, N, carries 0.0609; number 13, O, carries -0.0200; number 14, O, carries -0.1277

<two>
The following is a quantum chemistry calculation of C4H6N2O2 in the gas phase, from OMol25.

Geometry (Å):
C (0.06822, 2.17661, -1.00655)
C (-0.30047, 0.75363, -0.20847)
C (0.91624, -0.01395, 0.23996)